_Source_
No. 1
Computed, not measured: a structure of composition C40H31OP2ReS6, with ωB97M-V/def2-TZVPD.

XYZ file:
```
81
Properties=species:S:1:pos:R:3:mulliken_spin:R:1
Re 0.09255 0.01412 0.18720 1.826
O 2.87860 0.60430 -0.91564 0.017
S 1.64370 0.10568 -1.51640 0.026
C 1.90702 -1.47668 -2.24633 -0.036
C 3.06075 -1.73560 -2.97392 0.004
C 3.19994 -2.98767 -3.55268 0.001
C 2.20867 -3.95136 -3.39291 0.000
C 1.08770 -3.69284 -2.61721 -0.004
C 0.93128 -2.44072 -2.02879 -0.005
P -0.39546 -2.11278 -0.83789 0.138
C -0.42634 -3.58620 0.19119 -0.022
C 0.58038 -3.76139 1.14166 0.001
C 0.66317 -4.95432 1.84090 0.003
C -0.25327 -5.97063 1.59283 -0.001
C -1.25553 -5.79661 0.64655 0.002
C -1.34722 -4.60539 -0.05898 -0.004
C -1.95454 -1.98020 -1.71507 -0.023
C -1.98664 -1.79770 -3.09734 0.028
C -3.21045 -1.69346 -3.74470 0.006
C -4.39057 -1.77572 -3.01792 0.006
C -4.36001 -1.94618 -1.63718 0.009
C -3.14490 -2.03980 -0.98159 0.007
C 1.12195 1.14973 -2.85910 -0.029
C 1.77017 1.16821 -4.08575 0.006
C 1.35783 2.09199 -5.03582 0.002
C 0.31703 2.97215 -4.76333 0.005
C -0.32627 2.94550 -3.53355 -0.007
C 0.08701 2.03439 -2.56905 0.023
P -0.65862 1.95040 -0.93556 -0.053
C 0.20145 3.05193 0.19322 -0.017
C -0.42063 3.45197 1.38436 0.049
C 0.25857 4.26899 2.26896 0.001
C 1.56112 4.67100 1.98866 0.004
C 2.18655 4.26390 0.81749 -0.002
C 1.51206 3.45780 -0.08323 -0.005
C -2.37855 2.40466 -1.09353 -0.048
C -3.23298 1.49965 -1.73047 -0.001
C -4.54390 1.86054 -1.98577 0.001
C -5.00348 3.11981 -1.61735 -0.001
C -4.15085 4.02594 -1.00200 0.001
C -2.83491 3.67630 -0.74048 -0.003
H 3.84371 -0.99244 -3.05646 -0.001
H 4.09233 -3.21896 -4.11844 0.000
H 2.32978 -4.92561 -3.84713 0.000
H 0.35716 -4.47380 -2.44466 0.000
H 1.30266 -2.97594 1.33771 0.008
H 1.44800 -5.09715 2.57174 0.000
H -0.18169 -6.90389 2.13579 0.000
H -1.96144 -6.59227 0.44928 0.000
H -2.12054 -4.48446 -0.80622 0.003
H -1.06761 -1.75517 -3.66885 -0.001
H -3.24171 -1.56857 -4.81868 0.000
H -5.34155 -1.71852 -3.53152 0.000
H -5.28394 -2.01433 -1.07844 0.000
H -3.12272 -2.19035 0.09255 -0.023
H 2.57232 0.48052 -4.31220 0.000
H 1.84857 2.11936 -5.99935 0.000
H 0.00346 3.68247 -5.51652 0.000
H -1.14401 3.62536 -3.32880 0.000
H -1.44248 3.15404 1.59289 -0.008
H -0.22914 4.61688 3.17017 -0.001
H 2.08572 5.31569 2.68134 0.000
H 3.19623 4.58397 0.60015 0.000
H 2.00457 3.15804 -0.99892 0.003
H -2.87204 0.52700 -2.04443 0.011
H -5.20770 1.16481 -2.48097 0.000
H -6.02812 3.40016 -1.82234 0.000
H -4.50631 5.01179 -0.73474 0.000
H -2.17140 4.39942 -0.28519 0.001
C -2.06636 -2.90070 3.08993 0.011
S -0.63304 -2.72123 4.18485 0.002
C -0.85156 -1.01972 4.55509 0.082
C -0.38958 0.04045 3.79229 0.132
S 0.72503 -0.10005 2.43622 0.079
S -0.70697 1.59121 4.42426 0.137
C -1.56140 1.08962 5.82978 -0.168
S -2.16402 2.15635 6.93837 0.648
S -1.65904 -0.61050 5.99160 0.170
H -2.00338 -3.90814 2.68188 -0.001
H -2.01112 -2.17865 2.27578 0.013
H -2.99143 -2.79089 3.65097 0.000
```

## Properties
- calculated total energy (Ha) = -4767.23589
- E_LUMO (alpha / beta) (Eh) = -0.34307 / -0.40387
- HOMO-LUMO gap (alpha / beta) (eV) = 7.0477 / 5.4431
- multiplicity = 4
- HOMO level (alpha / beta) (eV) = -16.4 / -16.4
- total charge = +3

***

No. 2
Computed, not measured: a structure of composition C40H32I2N4O4S2Tc in a non-equilibrium geometry, with ωB97M-V/def2-TZVPD.

XYZ file:
```
85
Properties=species:S:1:pos:R:3:mulliken_spin:R:1
Tc 0.11168 0.12198 1.69376 1.804
C -2.34156 2.57142 2.14607 0.013
C -2.34524 1.12693 1.78243 -0.031
N -1.69766 0.72545 0.70519 0.053
N -2.22936 -0.15712 -0.16472 0.035
C -1.43889 -0.95606 -0.78335 0.016
S 0.23220 -1.14841 -0.37764 0.035
S -2.11534 -1.90599 -2.10596 0.005
C -3.53429 -2.67165 -1.20302 -0.001
C -3.14403 -4.03536 -0.72116 -0.004
C -3.38946 -5.15211 -1.51599 0.000
C -2.96416 -6.41044 -1.12012 0.000
C -2.28327 -6.56714 0.07854 0.000
C -2.05085 -5.46150 0.88405 -0.004
C -2.47402 -4.20215 0.48726 0.005
C -3.10824 0.13725 2.53299 0.008
C -4.39975 0.33016 3.02154 -0.002
C -5.04532 -0.66992 3.72035 0.011

_Brief_
Could you return only the lines further above with the word "geometry" in them?

_Worked solution_
Computed, not measured: a structure of composition C40H32I2N4O4S2Tc in a non-equilibrium geometry, with ωB97M-V/def2-TZVPD.